Tuesday, May 27, 2008

I Corinthians Chapter 8 - May 27, 2008

8:2 - If you act like you have it all figured out, then you are actually proving that you don't have anything figured out. True wisdom begins when we realize our lack of wisdom and we seek God's truth.

*A little background - in the pagan Roman town of Corinth temples sold the meat that was offered up to their "gods" at discount prices. Some of the Corinthian Christians may have been getting their meat from temples their entire lives. Some Christians understood that food wasn't what saved them, and had no problem eating the discount meat...other Christians in Corinth saw it as evil, or connected the food with pagan worship so fully that the meat caused them to stumble in their faith. Paul s addressing this issue.

8:9 - "Take care that this right of yours does not somehow become a stumbling block for the weak." Some of the Corinthian Christians were so focused on their "rights" that they were ignoring the negative impact it was having on the lives of people around them. We in America often worship a little something called our right to free speech (Which does rock and allows me to talk about my faith!). There are times when "free speech" is used to destroy and breed hate and corrupt weaker persons. This shows us the ugly underbelly of putting rights above the welfare of others. Paul sees the absurdity of placing more value in rights then in human life.

8:11 - Example: Drinking alcohol around somebody who is an alcoholic. As a Christian, above the legal drinking age, it is acceptable to drink alcohol in moderation. It is not sinful (See: Jesus turn water into wine). BUT if you exercising your right to drink causes a weaker brother to stumble, it is sinful. It is evil. Again, you would be placing your right to do something meaningless as more important than the life of another human being. That is insane and anti-Christian.


James said...

On the surface, this chapter seems to be about things that people give to idols and should we use those things or not – in particular – food.

┌──
# 1
A relaxed RbY2Au2O6 crystal, computed with PBE.

Geometry as POSCAR:
```
RbY2Au2O6
1.0
5.762 0.000 0.000
-2.878 6.854 0.000
-0.090 -3.625 6.617
Rb Y Au O
1 2 2 6
direct
0.000 0.000 0.000
0.174 0.349 0.594
0.826 0.651 0.406
0.262 0.524 0.036
0.738 0.476 0.964
0.036 0.977 0.398
0.086 0.614 0.590
0.428 0.430 0.389
0.572 0.570 0.611
0.914 0.386 0.410
0.964 0.023 0.602
```

Results
- Total magnetization: 0.00 μB per formula unit
- Uncorrected formation energy: -1.306 eV per atom
- Space-group type: P-1, No. 2
- DFT total energy: -0.216 Ha/atom
- Crystal system: triclinic

# 2
A relaxed Tb6Sm12Er crystal, computed with PBE.

Geometry as POSCAR:
```
Tb6Sm12Er
1.0
7.385 4.264 3.470
-7.385 4.264 3.470
0.000 -8.528 3.470
Tb Sm Er
6 12 1
direct
0.049 0.309 0.420
0.309 0.420 0.049
0.420 0.049 0.309
0.580 0.951 0.691
0.691 0.580 0.951
0.951 0.691 0.580
0.015 0.918 0.309
0.082 0.691 0.985
0.221 0.675 0.368
0.309 0.015 0.918
0.325 0.632 0.779
0.368 0.221 0.675
0.632 0.779 0.325
0.675 0.368 0.221
0.691 0.985 0.082
0.779 0.325 0.632
0.918 0.309 0.015
0.985 0.082 0.691
0.500 0.500 0.500
```

Results
- Total magnetization: 0.00 μB per formula unit
- Formation enthalpy at 0 K: 238.8 meV per atom
- Excess energy over the best structure of this formula in the dataset: 97.6 meV per atom
- Space-group type: R-3, No. 148
- DFT total energy: -0.163 Ha/atom
- Crystal system: trigonal

# 3
A relaxed BaP2HCl crystal, computed with PBE.

Geometry as POSCAR:
```
BaP2HCl
1.0
4.626 0.000 0.000
0.000 4.626 0.000
0.000 0.000 5.487
Ba P H Cl
1 2 1 1
direct
0.000 0.000 0.000
0.000 0.500 0.500
0.500 0.000 0.500
0.500 0.500 0.000
0.500 0.500 0.500
```

Results
- Total magnetization: 0.00 μB per formula unit
- Excess energy over the best structure of this formula in the dataset: 691.5 meV per atom
└──

Dig deeper – it might be talking about anything that might make someone stumble.

Msg 11 - Christ gave up his life for that person. Wouldn't you at least be willing to give up going to dinner for [that person]…

Take the words “going to dinner” and substitute other words there – listening to certain music, going to certain movies, innuendos, drinking, etc.

Makes me rethink how I should present myself to others. After all, words and actions do count, so I should be making them count for our Lord.


Ish said...

Living in Arkansas has presented an interesting task for me. Because we are pretty deep in the Bible belt, and are surrounded by a ton of blue collar people, drinking is something that is very easily associated as an evil act. The challenge is this: coming from Dallas and Houston, TX, areas of the world where more affluent lifestyles are practiced, alcohol is not as big a deal as it is out here. Not much of a drinking man myself, but I do see where my knowledge is different than the people where I am currently at. It is so important to care for others by the decisions you make, regardless of your knowledge, in love AND wisdom. If it allows you to glorify Christ without compromising your Holiness, it is your responsibility to care for your brother.